Exploration in Dungeons & Dragons

Photo credit: "An-Thonn Gate" by andreasrocha on DeviantArt.
There are three pillars of D&D: Social, Combat, and Exploration. Of those three, exploration is the most challenging for DMs and is often neglected. Unlike social and combat situations, everything is left to the DM to describe. Worldbuilding, or the process of designing an environment, is much easier when there is a give-and-take with players. Exploration in Dungeons & Dragons, though, requires long segments of monologuing to describe the setting. For DMs who are new to the role, or storytelling in general, this can sometimes be a grueling task, especially in complex surroundings.
Players can also tune out the description because they feel uninvolved or find it hard to picture everything using the theater of the mind. Anyone who isn’t an auditory learner may need some assistance in the form of maps, however crudely drawn, to set the scene. All of this necessitates a lot of prep work beforehand.
Given all of that, there are plenty of ways to involve your players in your environment and help the world feel alive (and less confusing). Listed below are some examples of how players can interact with the environment. Keep in mind that some of the effects in this article are detailed in official guidebooks like The Dungeon Master’s Guide or Icewind Dale: Rime of the Frostmaiden, whereas other ideas would be considered homebrew meaning that the DM makes it up.
- Temperature
- Flora
- Fauna
- Traps
- Difficult Terrain
- Rain
- Wind
- High Altitude
- Varying Gravity
- Areas with Magical Effects

Like in real life, extreme temperatures can greatly affect your players’ actions. The majority of inhabited areas will be in temperate climes since most humanoids will go places where it is easier to live, but there are plenty of reasons why your party might venture beyond such nice areas. Perhaps they are visiting a city of genasi who are resistant to fire damage and don’t mind the intense heat. Or they have walked to the polar ends of the world to speak with a tribe of goliaths in the biting cold.
The Dungeon Master’s Guide gives more details about imposing challenges based on extreme temperatures. However, you need not be limited by its descriptions. Specific issues like snow blindness aren’t mentioned, but they could present very real problems for your characters to solve in your game.

Plants are much more common than animals, even in extreme environments. Deserts and tundras alike have numerous plants that grow in enclosed spaces, protected from the elements. Don’t skimp on flora, even if your players are in uninhabited areas! Plants often play roles in specific spells, hiding places for enemies, representations of how societies coexist with nature, and even combatants in battle.
Overgrown plants can also show the passage of time if players stumble into an abandoned village or find an undiscovered dungeon. Even underground, plant life is still abundant in the form of mold, mushrooms, and other (possibly sentient) life. The Dungeon Master’s Guide notes three types of mold that are actively hazardous to adventurers and something they need to be wary of while exploring new underground environments.

Like with wild flora, it’s tempting to focus exclusively on combative animals, and the Monster Manual has no shortage of overly aggressive and territorial creatures. However, players can appreciate an environment more if they see all the inhabitants, not just the fights. In the same way, you create NPCs that are alternately aggressive, helpful, or disinterested, keep in mind that animals are the same way.
Wild animals in D&D can be awakened, meaning that they have humanoid intelligence and can communicate through speech. Such an animal might conceivably be friendly to your party, ask them for help, offer some advice, or warn them away from going any deeper into the woods. Most animals, though, will behave like your NPCs: not bothering the characters unless your players bother them.
If we use real life as an example, you’ll notice that while certain circumstances drive animals to attack humans (such as deforestation, starvation, disease, or maternal instincts), most animals will only fight in self-defense. In fact, most wild animals will flee in the face of danger, even if provoked. Your magical world need not be overly realistic, but players will appreciate you taking the time to have an explanation ready for wilderness battles.
Perhaps the local town has increased their logging, leading to hungry predators boldly attacking humanoids. Maybe your party has accidentally stumbled upon the whelping den of a vicious creature. You don’t need to tie every encounter into a larger narrative, but if you plan to have multiple battles with the wildlife, your players are going to wonder why.

Traps are an integral part of the best dungeons, but many DMs seem to forget a vital aspect of traps: that someone set them. It’s all well and good to say that your party has found an ancient dungeon that is chock full of traps and treasure in equal measure, but you may find someone in the party asking questions like “why?”
Despite what legends and Treasure Island might tell you, no upstanding pirate ever buried their treasure for later. With one exception (dragons), you’re never going to find a treasure-filled underground area that is devoid of life made on purpose.
Therefore, it is much more likely that the dungeon used to be a living area. Someone inhabited the area and displayed their wealth in material ways. It makes a lot more sense to have traps surrounding you than only having traps inside.
Keeping “who” and “why” in mind is also an excellent way to keep your dungeons from becoming repetitive. Differentiation by who lived there and why they protected the area can also inform you what types of traps are set. You can add flavor to your traps by describing how they work and what triggers them. A successful Wisdom or Intelligence check might reveal that the poison is derived from the mold that grows on the walls.
You should also be judicial regarding placing the traps on your map. Not every room would need to be trapped and guarded unless something of great value was in every room. Think and plan like real people would: place many traps in one area that protects the most critical part of the treasure.
Difficult Terrain

Bringing difficult terrain into play is a simple way to engage your players because it makes movement much more well, difficult. Imagine getting stuck in a hidden pit of quicksand or trying to set up camp on a patch of slippery ice. Instead of letting your group travel as they please through the desert, remember that it’s more tiring to shuffle through sand, and they might need to switch out their horse and cart ensemble for something that can cut through the dunes.

'''
The following is a DFT calculation (ωB97M-V/def2-TZVPD) of C4H7ClF3InO5PS as an isolated structure at a distorted geometry.

The geometry in XYZ format:
```
23
Properties=species:S:1:pos:R:3:forces:R:3:mulliken_charge:R:1
C -1.63341 1.65563 -2.19152 -0.04 -0.83 0.22 -0.8089
C -0.15067 1.86085 -2.44297 -0.67 -1.00 0.39 0.6939
O 0.22101 2.94777 -2.71142 0.90 2.45 -0.82 -0.5843
O 0.75487 0.87303 -2.43991 -0.84 -0.65 0.54 -0.4072
C 0.45522 -0.28040 -1.61079 0.29 -0.82 0.59 -0.9823
In 0.96730 -0.01384 0.56990 0.58 0.27 -0.98 0.6307
P 0.28312 2.22028 1.56268 0.13 0.56 0.48 0.2004
O -0.83140 2.97655 0.56472 0.20 -0.37 0.31 -0.4793
Cl -0.83423 1.73538 3.29837 0.02 0.03 -0.38 -0.3107
S -0.06218 -2.04237 1.73465 -1.89 0.35 0.25 0.7177
O -1.10676 -2.60568 0.88361 0.70 -0.52 -0.85 -0.6652
O -0.60733 -1.75023 3.05060 0.91 0.16 0.60 -0.6511
C 1.24849 -3.38352 2.04291 -1.64 0.39 0.25 0.6656
F 1.06165 -4.47307 1.33791 -0.08 -0.90 -1.24 -0.2493
F 1.20464 -3.76121 3.29824 0.23 -0.11 1.42 -0.2402
F 2.41900 -2.87013 1.77427 1.49 0.40 -0.33 -0.2445
H -2.02402 2.57346 -1.76539 0.06 0.02 -0.12 0.2322
H -2.12047 1.44481 -3.14877 0.09 0.10 0.02 0.3120
H -1.88517 0.83213 -1.52227 0.11 0.11 -0.01 0.2957
H 1.12709 -1.07109 -1.95467 0.00 0.18 -0.09 0.4092
H -0.55333 -0.67931 -1.73541 0.03 0.28 -0.27 0.4221
H 2.73685 -0.10917 0.71152 -0.42 0.02 0.16 -0.2829
H -0.67027 3.92012 0.69374 -0.15 -0.12 -0.16 0.3262
```
Positions in Å, forces in eV/Å.

Charge: -1
Multiplicity: 1
Kohn-Sham gap in eV: 7.7776

----------

A structure of composition C7H9NdO7P. Source: the Open Molecules 2025 dataset; level of theory: ωB97M-V/def2-TZVPD.

Geometry as ORCA input:
```
! wB97M-V def2-TZVPD RIJCOSX def2/J DEFGRID3
* xyz 3 4
O -0.35 -3.59 -2.11
C -0.35 -2.38 -2.15
Nd -1.05 -0.19 -2.00
O -3.07 -0.19 -5.30
C -2.35 -0.20 -4.43
C 1.65 -0.18 -2.44
O 2.81 -0.19 -2.63
C -0.34 2.01 -2.06
O -0.36 3.19 -2.03
C -0.79 2.23 1.15
O -1.74 1.18 0.89
P -0.91 -0.38 0.85
O -0.91 -0.57 2.45
C 0.27 -0.20 3.18
O 0.20 -1.77 0.53
C 1.59 -1.51 0.58
H -1.30 3.06 0.66
H 0.18 2.07 0.68
H -0.67 2.40 2.23
H 0.88 0.55 2.68
H -0.03 0.20 4.17
H 0.80 -1.15 3.30
H 1.83 -0.43 0.60
H 1.96 -2.00 1.50
H 2.06 -1.96 -0.31
*
```

Calculated values
HOMO-LUMO gap (spin up / spin down), eV: 5.929 / 6.181
Energy, eV: -46264.930

These are the Mulliken partial charges, in e, on atoms 1 to 8: O -0.008; C 0.190; Nd 1.556; O 0.041; C 0.231; C 0.187; O -0.009; C 0.122

----------

No. 1
Entry from OMol25: 2 unconnected molecules or ions with the total composition C16H17NO in a non-equilibrium geometry (ωB97M-V with the def2-TZVPD basis set).

Structure (XYZ):
```
35
Properties=species:S:1:pos:R:3:forces:R:3
C -1.0120 0.7867 -1.5144 1.29 0.72 -2.10
C -1.4290 -0.4631 -0.8486 -2.24 0.82 0.73
C -2.5430 -0.6221 -0.0604 0.13 -1.75 0.42
N -2.8481 -2.0115 0.0985 0.51 0.78 -0.72
C -1.9472 -2.6919 -0.6772 1.77 -1.10 -1.06
C -1.6578 -4.0397 -1.0157 -0.75 -0.02 0.87
C -0.4496 -4.4477 -1.5526 -1.53 0.43 0.07
C 0.4184 -3.5001 -2.1132 0.72 -0.94 0.72
'''

Doing anything strenuous in the rain is unpleasant, even for adventurers. You might have it be harder to see or hear in the area or impose long-term consequences for trekking multiple days through the rain. D&D characters could catch diseases or simply take levels of exhaustion for trudging through punishing environmental conditions, giving them an incentive to take an alternative route to their destinations.

Have you ever tried to throw something when it’s windy? Strong winds can make it hard to see, move around, fire ranged weapons, fly, or keep campfire lit. In deserts, you might even run into a full-blown sandstorm if the winds are strong enough. Interacting with strong winds is challenging, and you can easily showcase your environment by occasionally challenging players to contend with Mother Nature herself.
High Altitude

== Data records that have nothing to do with the piece ==
- - -
The following is a quantum chemistry calculation of 2 unconnected molecules or ions with the total composition C9H9N4O2, from the Open Molecules 2025 dataset.

The calculation puts the frontier orbital gap (alpha / beta) at 2.6 / 2.6 eV. As for the charge: +1. The energy above the lowest of the compared OMol25 structures with the same formula, charge and spin comes out at 720.2 kJ/mol. The value obtained for the HOMO energy (alpha / beta) is -10.217 / -10.217 eV. As for the LUMO energy (alpha / beta): -0.280 / -0.280 Eh.

Geometry as XYZ:
```
24
Properties=species:S:1:pos:R:3:mulliken_charge:R:1
H 5.62437 2.83792 -0.53290 0.306
H -2.79805 -1.80766 -2.30101 0.439
N 0.96395 -1.95991 -0.25871 -0.309
H 5.88850 0.47820 0.02729 0.345
H -4.99318 0.33305 -0.01188 0.454
O 2.51229 -0.33062 -0.31585 -0.766
C 1.36600 -0.66687 -0.36157 0.403
N 0.40122 0.29457 -0.40899 -0.107
C -1.84406 -0.94055 -0.48604 0.195
C -1.79910 1.34133 -0.27021 -0.355
C -0.99091 0.18767 -0.39530 0.773
N 4.83133 2.25127 -0.31990 -0.155
O 1.59835 -4.22184 0.13084 -0.362
H -3.83765 2.17816 -0.09747 0.305
C -3.95506 0.17545 -0.01904 -0.574
C 1.41399 -3.09008 -0.07061 0.608
C -3.28323 -1.12680 -0.02382 -0.447
C -2.57762 -1.57484 -1.34653 -0.683
N 5.07293 0.95557 -0.29316 0.208
H 0.81796 1.25124 -0.47720 0.220
C -3.19690 1.29783 -0.19174 -0.595
H -1.20303 2.21553 -0.14360 0.334
H -3.39783 -1.96761 0.77155 0.332
H 4.22105 0.43628 -0.28142 0.431
```
- - -

High altitude is defined in The Dungeon Master’s Guide as being above 10,000 feet. The air becomes noticeably thinner and harder to breathe for most creatures unaccustomed to the great heights. The DMG recommends reducing the amount of time the party can travel. Still, you can also add other effects like requiring a Constitution saving throw to avoid taking levels of exhaustion or dealing with altitude sickness.
Like in real life, creatures can become acclimated to the change in altitude by spending about a month in the area. After that, they would no longer suffer any ill effects, assuming that they stayed between 10,000 to 20,000 feet. Above 20,000 feet, it’s much harder ever to adjust or breathe long enough to think about acclimating.
Varying Gravity

-- begin --
# CH4IN2

2 unconnected molecules or ions with the total composition CH4IN2 at a distorted geometry (wB97M-V/def2-TZVPD, the Open Molecules 2025 dataset).

```
8
Properties=species:S:1:pos:R:3:nbo_charge:R:1
C 1.10 -0.53 -0.38 0.75
N 1.24 0.71 -0.44 -0.75
N 0.82 -1.64 -0.46 -0.46
I -2.75 0.47 1.20 -0.15
H -4.15 1.32 0.96 0.15
H 0.71 1.26 0.27 0.48
H 1.95 1.07 -1.00 0.46
H 1.08 -2.64 -0.15 0.51
```

Summary:
Gap between HOMO and LUMO = 8.94 eV
Charge = +1

---

# CH4IN2O

A gas-phase ion, CH4IN2O (charge +1) at a distorted geometry (wB97M-V/def2-TZVPD, the Open Molecules 2025 dataset).

```
9
Properties=species:S:1:pos:R:3:nbo_charge:R:1
N 0.60 1.47 -0.03 -0.79
C -0.13 0.37 0.11 0.46
I -2.71 0.32 0.17 0.21
N 0.41 -0.82 0.16 -0.22
O -0.22 -1.98 0.01 -0.51
H 1.49 1.54 -0.54 0.44
H 0.33 2.26 0.54 0.44
H 1.34 -1.09 0.00 0.43
H -1.10 -2.07 -0.41 0.53
```

Summary:
Gap between HOMO and LUMO = 7.97 eV
Charge = +1
SMILES = N/C(I)=[NH+]/O

---

# CH4IN2O

2 unconnected molecules or ions with the total composition CH4IN2O at a distorted geometry (wB97M-V/def2-TZVPD, the Open Molecules 2025 dataset).

```
9
Properties=species:S:1:pos:R:3:nbo_charge:R:1
C 1.26 -0.52 0.12 0.75
N 2.42 -0.93 -0.15 -0.77
N 0.23 -0.17 0.51 -0.44
O -2.95 0.59 0.00 -0.92
I -2.18 2.37 -0.40 0.45
H 3.22 -0.30 -0.10 0.47
H 2.61 -1.90 -0.39 0.47
H -0.70 0.22 0.40 0.49
H -3.91 0.65 0.01 0.51
```

Summary:
Gap between HOMO and LUMO = 8.82 eV
Charge = +1

---

# CH4IN2S

A gas-phase ion, CH4IN2S (charge +1) at a distorted geometry (wB97M-V/def2-TZVPD, the Open Molecules 2025 dataset).

```
9
Properties=species:S:1:pos:R:3:nbo_charge:R:1
C -0.23 0.16 0.08 0.53
N -0.34 -1.04 0.61 -0.71
N -0.92 0.82 -0.83 -0.74
S 1.56 1.24 0.47 -0.03
I 3.14 -0.42 -0.08 0.21
H -1.08 -1.61 0.47 0.41
H 0.19 -1.31 1.33 0.43
H -1.91 0.58 -0.85 0.44
H -0.41 1.59 -1.19 0.46
```

Summary:
Gap between HOMO and LUMO = 8.42 eV
Charge = +1

---

Q: The highest gap between HOMO and LUMO belongs to which entry?
A: CH4IN2
-- stop --

While an unusual phenomenon on the Material Plane, there are a number of places in the wider Multiverse where players might need to contend with levels of gravity far different from their own. Environments with heavier gravity might manifest as slowing characters down, limiting their jumping capabilities, and making their Strength-based weapon attacks more impactful. Settings with lighter gravity could increase the players’ speed, allow them a greater range of motion, and make it harder to resist shoving effects.
You could also designate an area where the level of gravity is the same, but the polarity is reversed. If you want to create hilarious shenanigans, you could have the polarity shift and change every so often, forcing your players to come up with creative ways to navigate the reversing gravity.
Areas with Magical Effects
One of the best ways to force players to think outside of the box is to hinder magical abilities. This idea is most effective in high-magic parties where almost all characters can cast spells and/or have magic items. How severely you want to affect magic and how you do it are up to you. Here are two examples of how to implement these areas.
Wild Magic Zone

A fun way to make your players think about the spells they cast is to institute a wild magic zone. Depending on their level, you could have all leveled spells force an equivalent to a Wild Magic Surge like those that a Wild Magic sorcerer deals with. You can create your own table of wild magic events or use the ones provided for Wild Magic sorcerers and Path of Wild Magic barbarians.
You can also change certain aspects of a spell instead of adding additional effects. Spells in your environment might last for twice as long as normal or half as long. A single-target spell might affect multiple creatures, including allies. There are various ways to modify all spells to help or hinder your players. You don’t always have to do one or the other either – you can roll or have your players roll to determine whether the extra effect is a good one or not.
Don’t forget that any changes you make to spellcasting affect enemy spellcasters, too. Unless they’re native to the area or have some other way of overcoming the environmental effect. It may make combat more complex, but it will be worth seeing how your players creatively take advantage of the area.
Magical Dead Zone
Generally, the magical dead zone forces players to rely on their non-magical capabilities by limiting or restricting their magic ability. You might allow cantrips, but no leveled spells or no casting whatsoever. Depending on your players’ level, you might decide that no magic of any kind works in an area. Thereby, rendering all spells useless and making magic items into their mundane versions. This could potentially cripple a party without any martial characters at lower levels, so be careful with this environment.